Does anyone else ever feel like there is something therapeutic about the process of cleaning tack? Making sure you have got every last piece of hair and spec of dirt out of every nook and cranny gets you out of your head. Rubbing the leather conditioner in and watching it absorb into the leather has almost a meditative quality. And then of course there is the feeling of satisfaction when you see your saddlery clean and nourished. Now Sterling Essentials leather care products have taken that therapeutic feeling to the next level.
These exquisitely crafted products are infused with essential oils designed to leave your leather looking and feeling a million bucks. They also smell fantastic and will leave both your saddlery and hands free of any greasy residue.

How I discovered Sterling Essentials
I first came across the Sterling Essentials range on the Heels Down Happy Hour podcast. It sounded amazing but it was made in America, a bit of a pain (Fortunately you can now purchase and have your order shipped directly to Australia through the website).
It was seeing a video of the restoration of an old and somewhat neglected western saddle that convinced me to bite the bullet and order a bottle of the leather cleaner and a tub of the conditioner and see how it went. Some bad advice I received early on in my saddle’s life has left parts of it dry and rubbed. But after the first use of Sterling Essentials I was hooked. The products have helped to clean my saddle and restore much needed moisture and suppleness.
The packaging
It’s evident through the packaging that even the smallest of details have been thought about. The leather cleaner comes in a bottle with a squirt lid which can be swapped out for the sprayer. While the tub of leather conditioner is also a cylindrical shape meaning that you’ll be able to get every last bit of product out.
The product is also generously sized with 453ml of leather cleaner and 236ml of leather conditioner. After using mine on a pretty regular basis I’m still on my original containers after almost one year.
What’s inside?
Sterling Essentials has been carefully designed and formulated to not just clean your leather, but also to extend its life using all-natural ingredients. Highlights of this product includes:
- Free of irritating chemicals
- Optimal pH for cleansing and nourishing your leather goods
- Glycerine free – despite popular belief glycerine is not good for your leather is a because it attracts water and acts as a sealant
(Unrelated to this page: calculated crystals)
+++
# 1
This record from Materials Project describes a relaxed LaTaFeO6 crystal. The functional is PBE with a Hubbard U.

Geometry as extended XYZ:
```
18
Lattice="5.570 0.000 0.000 0.000 5.636 0.000 -5.521 0.000 7.884" Properties=species:S:1:pos:R:3 pbc="T T T"
La 0.000 1.165 0.000
La -2.761 4.471 3.942
Ta 2.820 1.512 1.952
Ta 0.060 4.124 5.894
Fe -2.701 1.460 5.936
Fe 0.059 4.176 1.994
O -1.138 2.612 1.690
O -3.898 3.024 5.632
O -2.502 1.297 3.941
O -5.262 4.339 7.883
O 2.418 1.456 0.026
O -0.343 4.180 3.968
O 1.382 0.101 2.161
O -1.379 5.535 6.103
O -1.093 2.606 6.234
O 1.668 3.030 2.292
O 1.386 0.064 5.758
O 4.147 5.573 1.816
```

Computed properties:
- ΔE_f (eV/atom) = -2.787
- symmetry = Pc

***

# 2
This record from Materials Project describes a relaxed LaTaZnFeO6 crystal. The functional is PBE with a Hubbard U.

Geometry as extended XYZ:
```
40
Lattice="0.000 0.046 7.933 5.981 5.460 0.030 -5.973 5.451 0.031" Properties=species:S:1:pos:R:3 pbc="T T T"
O -1.197 4.476 3.613
O 0.058 7.692 1.922
O 4.085 7.120 4.427
O -1.891 7.116 4.423
O -3.038 4.984 5.873
O 0.216 8.941 6.091
O -1.091 4.370 0.442
O 2.784 6.193 2.109
O 1.052 1.172 7.460
O 1.243 6.527 4.425
O 1.751 9.229 0.474
O 1.750 3.774 0.441
O 0.056 2.239 1.892
O 4.781 4.480 3.619
O 0.212 3.485 6.059
O -1.782 7.230 7.600
O -4.731 6.522 4.427
O -3.196 6.188 2.108
O -4.034 3.877 3.507
O -1.785 1.776 7.575
O 1.944 3.881 3.505
O -1.087 9.827 0.471
O 2.938 4.988 5.873
O 1.055 6.627 7.490
Zn 2.315 8.095 2.014
Zn 2.313 2.639 1.981
Zn 0.683 5.387 5.964
Zn -5.292 5.382 5.965
Ta -0.213 2.766 7.922
Ta -0.213 8.222 7.952
Ta 3.210 5.470 3.970
Ta -2.766 5.467 3.969
La 2.578 2.631 5.985
La 0.417 5.338 2.033
La -5.561 5.334 2.035
La 2.582 8.089 6.021
Fe -0.135 2.678 4.025
Fe -0.124 8.139 4.057
Fe -2.851 5.385 0.074
Fe 3.121 5.396 0.073
```

Computed properties:
- ΔE_f (eV/atom) = -2.807

***

# 3
This record from Materials Project describes a relaxed LaTiZnFeO6 crystal. The functional is PBE with a Hubbard U.

Geometry as extended XYZ:
```
20
Lattice="5.402 0.000 0.000 0.000 5.717 0.000 -5.380 0.000 7.725" Properties=species:S:1:pos:R:3 pbc="T T T"
La 0.000 1.121 0.000
La -2.690 4.595 3.863
Ti -2.625 1.622 5.789
Ti 0.065 4.095 1.926
Zn 0.012 0.933 3.865
Zn 2.702 4.784 0.003
Fe 2.753 1.526 1.959
Fe 0.063 4.191 5.822
O -1.007 2.650 1.579
O -3.697 3.067 5.441
O -1.932 1.282 3.879
O 0.758 4.435 0.017
O -2.993 1.412 7.678
O -0.303 4.305 3.816
O 1.164 0.336 2.333
O -1.527 5.381 6.196
O -1.022 2.573 6.118
O 1.668 3.144 2.255
O 1.194 0.320 5.379
O 3.884 5.397 1.516
```

Computed properties:
- ΔE_f (eV/atom) = -2.774
- symmetry = Pc

***

Record-wise M_tot values, in μB/atom: 0.444; 0.000; 0.500
Record-wise ρ values, in g/cm³: 6.329; 6.896; 5.624

~~~~~

VAgHgO4: relaxed, PBE+U.

a b c (Å): 10.5946 5.5838 7.2541
angles (deg): 90.00 99.07 90.00
Space group C2 (No. 5)
Unique sites:
V  0.1868  0.0000  0.2301 [4 per cell]
Ag  0.1380  0.9865  0.7215 [4 per cell]
Hg  0.0000  0.4694  0.5000 [2 per cell]
+++
- The products come in three different scents so that there will be something for everyone, lavender, floral citrus and eucalyptus. But don’t worry – the formulation is the same in each scent, because when you get it right you don’t need to create different types of products.
At $16.95 USD (old costs) for the leather cleaner and $19.95 USD for the leather cleaner these products are excellent value for money.
So, do yourself a favour, pour a glass of bubbles and give your saddlery that is deserves with Sterling Essentials.
You can find out more and order your leather care from